Emirati-Israeli Peace Treaty and Prospects of Regional Economic and Technical Cooperation
In addition to the opportunities of bilateral cooperation, there are important opportunities for tripartite or collective cooperation between the UAE, Israel and other parties, such as China, India, and others.

Prior to the start of the 1991 Madrid Peace Conference, the Arab countries had been able to block the development of diplomatic, political, and economic relations between many countries of the world – especially the important Asian powers such as China, India, and South Korea – and Israel, based on a specific assumption that it would be difficult for those powers to maintain good relations with Arab countries if they take the step of developing their relations with Israel. In other words, the Arab countries succeeded in placing the relations of those powers with the Arabs and Israel within a “zero-sum game” formula, meaning that those countries had to choose between Israel and the Arab countries, and that developing their relations with Israel would directly entail losing their relations with the Arab countries.
Many factors contributed to the success of the Arab countries in ensuring the success of this formula or equation, most notably the stage of the Cold War at the time, and the siding of many countries of the world, such as India, with the East Camp led by the Soviet Union, which led to the absence of strong relations with the US or any of its allies (Including Israel). In addition, there was no strong basis for economic and technical relations between many countries and Israel, meaning that there was no opportunity for significant mutual gains between the two sides. However, with the disintegration of the Soviet Union and the end of the Cold War, many countries of the world reviewed the feasibility of this Arab “equation”, and the feasibility of linking relations with the Arab world to relations with Israel, especially that many of those countries needed to turn west, and to use the development of their relations with Israel as a gateway to develop their relations with the West and the US. On the other hand, many of the countries that maintained limited relations with Israel have reached a level of economic and technological development, which contributed to the existence of strong foundations for building economic and technical relations with Israel that would generate mutual benefits for both sides.
These changes have led to a decline in the capability of the Arab world to impose its traditional formula, which it had succeeded in imposing on many friendly countries during the period of the Cold War. On the other hand, those changes also have led to an acceleration of the development of Israeli relations with many of those countries in the economic and technical fields, especially in the sectors of agriculture, medicine, technology and communications. This was facilitated by the fact that most of those “friendly” countries have moved into the category of large or emerging economies, which has created great opportunities for building joint relationships in various economic sectors based on the mutual benefits of both sides. In contrast, the capability of the Arab world to besiege Israel or limit its relations with the outside world has diminished. In addition, the relations of many old “friendly countries” with Israel in sectors such as agriculture, technology, communications, and medicine have become much stronger than their relations with “Arab friends.”
These conclusions would be confirmed upon review of the size of the relations between China, India and South Korea, for example, and Israel in the above fields in comparison with those relations between those countries and the Arab world. This indicates that what Israel has to offer those economies in those areas far exceeds what the Arab world has to offer any of those economies.
In this context, it could be said that the peace treaty announced on 13 August 2020 between the UAE and Israel could establish strong relations between the two sides in qualitative areas such as the economy, trade, medicine, health, and technology in general, and communications technology in particular, as well as cooperation in the field of seaports. This would be facilitated by the following factors:
First, the UAE is not a direct party to the Arab-Israeli conflict, despite its strong and unconditional support of Palestinian rights. The absence of direct borders between the two sides reduces the degree of sensitivity in developing their relations in those areas.
Second, the nature of the UAE as a “cosmopolitan” country (a country that is founded on respect for cultural and religious diversity and pluralism, and the capability to accommodate this diversity and benefit from it). This rare “cosmopolitan” nature in the region provides a basis for openness on the one hand, and a decline in opportunities of resistance to sectoral cooperation between the UAE and Israel, on the other hand.
Third, the absence of extremist and violent religious organisations in the UAE, which is an important additional factor that contributes to facilitating sectoral cooperation between the UAE and Israel. The presence of those organisations in many other Arab countries has contributed to blocking this cooperation over the past decades, due to the success of those organisations in the religionisation of the Arab-Israeli conflict.
Fourth, the increase in the number of non-traditional threats, which creates wide opportunities for cooperation between the two sides. The Covid-19 pandemic represents an important model in this field, in addition to other challenges such as climate change. This is also facilitated by the important Israeli experience in those areas.
In addition to the opportunities of bilateral cooperation, there are important opportunities for tripartite or collective cooperation between the UAE, Israel and other parties from outside the Arab world, such as China, India, and others. The opportunities of this cooperation increase against the background of the UAE’s strong relations with those countries in the economic and technical fields, especially the field of energy and renewable energy. In this connection, bilateral cooperation could be extended to cover a wide list of fields, through the mechanism of “joint projects”, both at the level of investments and research activities.
However, despite the importance of the above shifts, both in relation to the controls of Arab-Israeli cooperation in general, and the opportunities of this cooperation, some expected complications may appear in this path, including the US approach that is based on ensuring Israel’s superiority, both technically and militarily, given that an important portion of the technologies used by Israel is of US origin. In addition, despite the relevance of the above factors and shifts, which stand behind the logic of openness to Israel at this stage, the Arab world would continue to face an important dilemma, namely: how can this potential development in economic and technical relations with Israel be employed to serve the two-state solution? While the current moment in the balance of power and international policies imposes a state of openness to Israel and easing the restrictions imposed on Arab-Israeli relations, this does not mean the end of the project to establish the Palestinian state. Thus, the change really refers more to the tools and context rather than the principles or giving up basic goals.
**Calculated crystals, as found in the file:**
/*
No. 1
LaGe2Pt2 | PBE-GGA | optimized geometry

size of the total moment: 0.0 μB/f.u.
space-group type: I4/mmm
DFT formation energy: -420 kJ/mol of formula units

```
10
Lattice="4.458 0.000 0.000 0.000 4.458 0.000 0.000 0.000 10.117" Properties=species:S:1:pos:R:3 pbc="T T T"
La 0.000 0.000 0.000
La 2.229 2.229 5.059
Ge 0.000 0.000 3.769
Ge 0.000 0.000 6.348
Ge 2.229 2.229 1.290
Ge 2.229 2.229 8.827
Pt 0.000 2.229 2.529
Pt 0.000 2.229 7.588
Pt 2.229 0.000 2.529
Pt 2.229 0.000 7.588
```


No. 2
LaGe12Pt4 | PBE-GGA | optimized geometry

space-group type: Im-3
DFT formation energy: -678 kJ/mol of formula units

```
17
Lattice="-4.383 4.383 4.383 4.383 -4.383 4.383 4.383 4.383 -4.383" Properties=species:S:1:pos:R:3 pbc="T T T"
La 0.000 0.000 0.000
Ge 3.111 1.330 0.000
Ge 5.654 1.330 0.000
Ge 4.383 -1.272 3.052
Ge 3.052 4.383 -1.272
Ge 1.330 0.000 3.111
Ge 4.383 1.272 3.052
Ge 0.000 3.111 1.330
Ge 3.052 4.383 1.272
Ge 1.330 0.000 5.654
Ge 0.000 5.654 1.330
Ge -1.272 3.052 4.383
Ge 1.272 3.052 4.383
Pt 2.191 2.191 -2.191
Pt 2.191 -2.191 2.191
Pt -2.191 2.191 2.191
Pt 2.191 2.191 2.191
```


No. 3
LaGe2Pt2 | PBE-GGA | optimized geometry

space-group type: P2_1/m
DFT formation energy: -466 kJ/mol of formula units

```
10
Lattice="4.462 0.000 0.000 0.000 4.461 0.000 -0.042 0.000 10.011" Properties=species:S:1:pos:R:3 pbc="T T T"
La 1.106 1.115 2.465
La 3.313 3.346 7.546
Ge 1.053 1.115 6.279
Ge 1.076 3.346 10.011
Ge 3.343 1.115 0.000
Ge 3.366 3.346 3.732
Pt 1.071 1.115 8.776
Pt 1.144 3.346 5.009
Pt 3.275 1.115 5.002
Pt 3.348 3.346 1.235
```
*/
Courtney: Emirates Policy Center